7 Ways To Keep Your Air Compressor In Its Best Working Condition

Posted on: 29 September 2014

Air compressors can be a valuable tool that will last you many years, as long as you are good at keeping a schedule of regular maintenance and cleaning. Taking regular care of your air compressor will ensure that it keeps running like new. There are a few easy ways to make sure your air compressor is operating as efficiently as possible.

Read The Manual First

It might be boring, but it's the part that's skipped over by the most people and really shouldn't be ignored. Since its more than likely going to be a smaller book, there is really no excuse to not educate yourself on what the manufacturer specifically states is best to keep your air compressor running for the long haul. Check the spec sheet and read the fine print, too. Remember, if you fail to follow the guidelines in the user's manual, you may run into a case where the manufacturer will no longer honor the warranty.

Check Your Hoses

By making sure that that, or other possible corrosion, is not present, you're ensuring not only proper efficiency of the device itself, but you are also ensuring that you're going to be able to stay off from possible upcoming replacements.

Clean the Fuel Tank

Dirt and debris can start to wreak havoc when not taken care of right away. Disassemble and check for any possible residual build up in the tank. Make sure the motor is dusted off and not getting clogged up with anything that could be prevented.

Drain the Moisture From the Tank

Following up the previous point, it's important to understand that as you use the air compressor it will collect moisture from the air, more so if you live in a region where it gets very humid. It's imperative that you use your drain valve if your unit is equipped with one to properly drain any excess moisture rather than letting it just sit. Make sure when doing this maintenance procedure that you properly release air pressure from the tanks, and then let the liquid drain.

• Next to the piece, the page also holds data records:
<<<
First-principles (PBE+U) data for a geometry-optimized Cr3FeP6O24 structure, as listed in Alexandria.

```
34
Lattice="-3.148 8.175 0.538 -4.512 3.641 -6.589 -8.608 1.587 0.637" Properties=species:S:1:pos:R:3 pbc="T T T"
Cr -2.326 1.916 -0.774
Cr -10.439 8.600 -3.474
Cr -5.830 4.804 -1.940
O -11.679 4.653 -3.970
O -7.231 9.499 -0.799
O -4.283 4.529 -3.023
O -9.385 9.245 0.507
O -9.267 8.735 -1.951
O -5.436 8.558 -3.824
O -4.783 4.999 -0.357
O -10.552 6.717 -3.086
O -6.866 4.226 -5.938
O -8.620 6.528 0.715
O -10.849 4.792 -1.582
O -4.640 8.763 -1.394
O -11.554 8.340 -5.027
O -5.696 6.693 -2.254
O -6.938 4.681 -3.504
O -6.056 2.931 -1.652
O -8.870 8.184 -4.510
O -11.954 8.944 -2.329
O -7.417 5.145 -0.914
O -9.012 3.919 -4.567
O -7.608 6.873 -6.168
O -9.154 4.033 0.457
O -10.185 10.475 -3.856
O -7.155 9.353 -5.927
P -11.506 5.551 -2.747
P -8.222 8.260 -5.910
P -7.496 3.753 -4.615
P -4.762 7.869 -2.643
P -8.067 5.123 0.494
P -8.761 9.660 -0.823
Fe -13.954 11.497 -4.643
```

Computed properties:
VASP energy: -7.074 eV per atom
calculated volume: 13.53 Å³/atom
>>>

Test the Safety Shutdown System

This may not apply to all models, but if it does to yours make sure you regularly test the safety shutdown system to make sure a core element of your system is working properly. Every 6 months or so is generally a good idea. The reason why this is important is because without the safety shutdown, should the compressor get too hot or lose too much pressure, you won't be properly notified and it could risk damaging the whole unit.

Check and Change Air Filters

If your compressor has a dirty air filter you're going to want to change it immediately rather than let it sit, and run less efficiently. Similar to why you would never let a dirty air filter sit in your vehicle. A dirty filter lets debris from the outside into the tank, while at the same time making the unit work even harder to produce at the same level, a combination that can lead to early compressor replacement.  

 Check and Change the Oil

For oil based air compressors, check to see that your oil is topped off properly before every use, and after 300 hours of use you need to go through a full oil change. Some experienced owners recommend changing the compressor oil earlier if you're a heavy user, so make sure it's something that you are checking with regularity to determine when your compressor needs new oil. It's not rocket science, but proper maintenance of an air compressor, like those at Ben's Cleaner Sales, can lead to a long life. By following some of these tips you can ensure your investment lasts for years to come.
